**Source**
┌──
# 1
# C2H8N

2 unconnected molecules or ions with the total composition C2H8N at a distorted geometry (ωB97M-V with the def2-TZVPD basis set, the OMol25 dataset).

Element x y z (Å)
N 1.554 0.765 0.125
H 1.152 0.830 -0.813
H 1.749 1.714 0.448
H 0.879 0.266 0.727
H 2.408 0.209 0.035
C -1.071 -0.950 -0.604
C -1.291 -0.220 0.496
H -0.987 -0.525 -1.606
H -1.282 -2.014 -0.685
H -1.820 0.727 0.463
H -1.291 -0.801 1.415

Output
Relative energy (zero: lowest compared OMol25 entry of this formula, charge and spin) (kcal/mol): 36.73
Charge: +1

***

# 2
# C22H18O6

A single C22H18O6 molecule (ωB97M-V with the def2-TZVPD basis set, the OMol25 dataset).

Element x y z (Å)
O -2.546 -0.390 4.395
C -3.135 -0.329 3.341
O -2.509 -0.321 2.155
C -1.086 -0.392 2.200
C -0.541 -0.298 0.804
C 0.499 -1.120 0.393
C 1.004 -1.020 -0.890
C 0.478 -0.098 -1.785
C 1.032 -0.002 -3.183
O 2.441 -0.208 -3.219
C 3.192 0.804 -2.745
O 2.723 1.844 -2.351
C 4.636 0.495 -2.776
C 5.120 -0.742 -3.194
C 6.477 -0.989 -3.202
C 7.372 -0.004 -2.794
O 8.711 -0.206 -2.788
C 6.891 1.237 -2.375
C 5.537 1.479 -2.366
C -0.561 0.725 -1.374
C -1.065 0.626 -0.091
C -4.605 -0.253 3.206
C -5.229 -0.191 1.963
C -6.605 -0.119 1.882
C -7.376 -0.108 3.041
O -8.728 -0.038 3.005
C -6.754 -0.171 4.288
C -5.381 -0.242 4.365
H -0.786 -1.329 2.682
H -0.711 0.434 2.821
H 0.918 -1.840 1.080
H 1.818 -1.658 -1.202
H 0.618 -0.790 -3.819
H 0.797 0.979 -3.611
H 4.428 -1.506 -3.512
H 6.852 -1.952 -3.526
H 8.917 -1.097 -3.096
H 7.600 1.987 -2.063
H 5.146 2.432 -2.044
H -0.970 1.453 -2.059
H -1.873 1.269 0.225
H -4.632 -0.202 1.065
H -7.090 -0.071 0.916
H -9.037 0.000 2.091
H -7.368 -0.162 5.174
H -4.882 -0.291 5.320

Output
Relative energy (zero: lowest compared OMol25 entry of this formula, charge and spin) (kcal/mol): 0.00
SMILES: O=C(OCc1ccc(COC(=O)c2ccc(O)cc2)cc1)c1ccc(O)cc1

***

Results for HOMO-LUMO gap: 10.2748 9.5315 (in eV, following the order of the records).
Results for LUMO level: -4.1 0.6 (in eV, following the order of the records).
Results for HOMO energy: -14.374 -8.905 (in eV, following the order of the records).

* * * * *

{
  "formula": "C21H41HgIN2Si4",
  "method": "ωB97M-V/def2-TZVPD",
  "elements": ["C", "C", "H", "H", "H", "H", "H", "H", "C", "C", "C", "C", "H", "H", "H", "H", "N", "C", "C", "N", "C", "C", "C", "H", "H", "C", "H", "H", "Hg", "I", "C", "Si", "C", "C", "Si", "Si", "C", "C", "C", "Si", "C", "C", "C", "H", "H", "H", "H", "H", "H", "H", "H", "H", "H", "H", "H", "H", "H", "H", "H", "H", "H", "H", "H", "H", "H", "H", "H", "H", "H", "H"],
└──
**Job**
Your job: give back all of the calculation results further above word for word.
**Result**
# 1
# C2H8N

2 unconnected molecules or ions with the total composition C2H8N at a distorted geometry (ωB97M-V with the def2-TZVPD basis set, the OMol25 dataset).

Element x y z (Å)
N 1.554 0.765 0.125
H 1.152 0.830 -0.813
H 1.749 1.714 0.448
H 0.879 0.266 0.727
H 2.408 0.209 0.035
C -1.071 -0.950 -0.604
C -1.291 -0.220 0.496
H -0.987 -0.525 -1.606
H -1.282 -2.014 -0.685
H -1.820 0.727 0.463
H -1.291 -0.801 1.415

Output
Relative energy (zero: lowest compared OMol25 entry of this formula, charge and spin) (kcal/mol): 36.73
Charge: +1

***

# 2
# C22H18O6

A single C22H18O6 molecule (ωB97M-V with the def2-TZVPD basis set, the OMol25 dataset).

Element x y z (Å)
O -2.546 -0.390 4.395
C -3.135 -0.329 3.341
O -2.509 -0.321 2.155
C -1.086 -0.392 2.200
C -0.541 -0.298 0.804
C 0.499 -1.120 0.393
C 1.004 -1.020 -0.890
C 0.478 -0.098 -1.785
C 1.032 -0.002 -3.183
O 2.441 -0.208 -3.219
C 3.192 0.804 -2.745
O 2.723 1.844 -2.351
C 4.636 0.495 -2.776
C 5.120 -0.742 -3.194
C 6.477 -0.989 -3.202
C 7.372 -0.004 -2.794
O 8.711 -0.206 -2.788
C 6.891 1.237 -2.375
C 5.537 1.479 -2.366
C -0.561 0.725 -1.374
C -1.065 0.626 -0.091
C -4.605 -0.253 3.206
C -5.229 -0.191 1.963
C -6.605 -0.119 1.882
C -7.376 -0.108 3.041
O -8.728 -0.038 3.005
C -6.754 -0.171 4.288
C -5.381 -0.242 4.365
H -0.786 -1.329 2.682
H -0.711 0.434 2.821
H 0.918 -1.840 1.080
H 1.818 -1.658 -1.202
H 0.618 -0.790 -3.819
H 0.797 0.979 -3.611
H 4.428 -1.506 -3.512
H 6.852 -1.952 -3.526
H 8.917 -1.097 -3.096
H 7.600 1.987 -2.063
H 5.146 2.432 -2.044
H -0.970 1.453 -2.059
H -1.873 1.269 0.225
H -4.632 -0.202 1.065
H -7.090 -0.071 0.916
H -9.037 0.000 2.091
H -7.368 -0.162 5.174
H -4.882 -0.291 5.320

Output
Relative energy (zero: lowest compared OMol25 entry of this formula, charge and spin) (kcal/mol): 0.00
SMILES: O=C(OCc1ccc(COC(=O)c2ccc(O)cc2)cc1)c1ccc(O)cc1

***

Results for HOMO-LUMO gap: 10.2748 9.5315 (in eV, following the order of the records).
Results for LUMO level: -4.1 0.6 (in eV, following the order of the records).
Results for HOMO energy: -14.374 -8.905 (in eV, following the order of the records).

* * * * *

{
  "formula": "C21H41HgIN2Si4",
  "method": "ωB97M-V/def2-TZVPD",
  "elements": ["C", "C", "H", "H", "H", "H", "H", "H", "C", "C", "C", "C", "H", "H", "H", "H", "N", "C", "C", "N", "C", "C", "C", "H", "H", "C", "H", "H", "Hg", "I", "C", "Si", "C", "C", "Si", "Si", "C", "C", "C", "Si", "C", "C", "C", "H", "H", "H", "H", "H", "H", "H", "H", "H", "H", "H", "H", "H", "H", "H", "H", "H", "H", "H", "H", "H", "H", "H", "H", "H", "H", "H"],